Assignment:
Please set down all of the material underneath unchanged.

Listing:
********
[1]
Computed, not measured: 7 unconnected molecules or ions with the total composition C7H28O7 at a distorted geometry, with ωB97M-V/def2-TZVPD.

Calculated values
* orbital gap: 10.6 eV
* HOMO: -10.1 eV
* E: -22042.137 eV
* energy above the lowest of the compared OMol25 structures with the same formula, charge and spin: 86.3 kcal/mol

Positions of all 42 atoms, in Å:
C  -1.56  -0.93  -3.46
O  -1.00  0.24  -2.89
H  -1.17  -1.11  -4.46
H  -1.37  -1.82  -2.85
H  -2.64  -0.82  -3.52
H  -0.14  -0.02  -2.55
C  -0.15  -3.62  -0.77
O  0.11  -4.76  -1.60
H  -1.14  -3.23  -1.02
H  -0.17  -3.86  0.29
H  0.62  -2.88  -0.95
H  0.23  -5.54  -1.05
C  -0.79  -0.05  4.35
O  -0.33  1.24  4.72
H  0.03  -0.77  4.36
H  -1.55  -0.41  5.06
H  -1.30  -0.03  3.38
H  -0.82  1.89  4.20
C  2.09  -1.88  -3.46
O  2.02  -0.50  -3.08
H  1.14  -2.18  -3.90
H  2.88  -2.08  -4.18
H  2.23  -2.54  -2.59
H  2.92  -0.23  -2.86
C  -2.92  2.93  -0.11
O  -2.58  3.86  0.93
H  -3.65  2.20  0.23
H  -3.26  3.46  -1.00
H  -1.99  2.42  -0.35
H  -3.29  4.51  0.99
C  0.37  0.05  0.50
O  1.54  -0.64  0.14
H  0.38  0.18  1.58
H  0.28  1.03  0.02
H  -0.50  -0.57  0.25
H  1.77  -0.49  -0.78
C  1.95  2.81  2.92
O  2.98  3.35  2.08
H  2.18  2.95  3.97
H  1.03  3.31  2.63
H  1.80  1.74  2.70
H  3.74  2.76  2.13

[2]
Computed, not measured: a molecular structure, C4H10O, with ωB97M-V/def2-TZVPD.

Calculated values
* orbital gap: 7.6 eV
* HOMO: -6.9 eV
* E: -6352.719 eV
* energy above the lowest of the compared OMol25 structures with the same formula, charge and spin: 117.2 kcal/mol

Positions of all 15 atoms, in Å:
C  1.97  -0.11  0.02
C  0.86  -0.09  -0.99
C  -0.31  0.68  -0.76
C  -1.72  -0.68  0.30
O  -0.30  1.63  0.19
H  1.57  -0.13  1.05
H  2.63  0.76  -0.06
H  2.59  -1.01  -0.10
H  1.03  -0.42  -2.01
H  -0.26  -0.67  -0.44
H  -1.03  0.75  -1.57
H  -1.94  -1.68  -0.10
H  -1.47  -0.77  1.37
H  -2.63  -0.08  0.20
H  -1.22  1.83  0.42

[3]
Computed, not measured: a molecular structure, C18H28BF5N3O21Tl at a distorted geometry, with ωB97M-V/def2-TZVPD.

Calculated values
* orbital gap: 2.6 eV
* HOMO: -15.7 eV
* E: -85512.932 eV
* charge: +2
* energy above the lowest of the compared OMol25 structures with the same formula, charge and spin: 0.0 kcal/mol

Positions of all 77 atoms, in Å:
Tl  3.19  -0.58  -2.44
B  0.76  -0.74  -0.58
H  1.40  0.23  -0.37
H  0.43  -0.65  -1.73
H  1.40  -1.75  -0.53
H  -0.09  -0.86  0.22
C  -4.67  3.08  0.19
C  -4.08  3.74  1.43
O  -2.74  3.26  1.36
C  -2.76  2.04  0.74
O  -1.83  1.30  0.63
O  -3.99  1.83  0.29
F  -4.62  3.27  2.58
H  -4.38  3.64  -0.70
H  -5.75  3.07  0.22
H  -4.13  4.83  1.47
C  -2.00  -2.20  2.11
C  -0.70  -1.79  2.75
O  -0.09  -3.06  2.91
C  -1.04  -4.02  2.81
O  -0.81  -5.19  2.80
O  -2.26  -3.46  2.71
F  -0.84  -1.29  3.99
H  -1.97  -2.22  1.02
H  -2.78  -1.47  2.35
H  -0.13  -1.11  2.12
C  1.26  2.68  1.44
C  0.71  3.03  2.82
O  1.61  3.96  3.34
C  2.45  4.43  2.34
O  3.28  5.24  2.49
O  2.03  3.88  1.17
F  0.75  1.87  3.54
H  0.63  2.45  0.59
H  2.11  2.00  1.59
H  -0.31  3.42  2.84
C  -2.54  -1.30  -2.00
C  -2.94  0.09  -2.54
O  -4.22  -0.13  -3.07
C  -4.41  -1.45  -3.28
O  -5.39  -1.96  -3.68
O  -3.36  -2.15  -2.73
F  -2.07  0.55  -3.46
H  -2.69  -1.37  -0.92
H  -1.46  -1.38  -2.24
H  -2.99  0.80  -1.72
C  -0.47  4.39  -1.30
C  0.58  4.93  -2.24
O  1.44  3.81  -2.35
C  0.70  2.70  -2.20
O  1.11  1.59  -2.42
O  -0.47  2.99  -1.62
F  1.26  5.94  -1.68
H  -1.45  4.86  -1.25
H  -0.08  4.48  -0.28
H  0.25  5.20  -3.25
C  1.81  -4.60  0.83
N  3.17  -4.38  0.28
O  3.98  -5.26  0.35
O  3.35  -3.38  -0.42
H  1.81  -4.28  1.87
H  1.46  -5.62  0.67
H  1.14  -3.90  0.33
C  5.75  0.06  1.62
N  4.28  -0.27  1.57
O  3.61  0.00  2.53
O  3.82  -0.70  0.51
H  5.93  0.50  2.59
H  5.94  0.72  0.78
H  6.28  -0.86  1.39
C  1.01  -5.42  -3.12
N  0.94  -3.96  -2.91
O  1.98  -3.33  -2.90
O  -0.16  -3.43  -2.83
H  1.98  -5.77  -2.77
H  0.80  -5.65  -4.16
H  0.26  -5.91  -2.51

[4]
********

Worked solution:
[1]
Computed, not measured: 7 unconnected molecules or ions with the total composition C7H28O7 at a distorted geometry, with ωB97M-V/def2-TZVPD.

Calculated values
* orbital gap: 10.6 eV
* HOMO: -10.1 eV
* E: -22042.137 eV
* energy above the lowest of the compared OMol25 structures with the same formula, charge and spin: 86.3 kcal/mol

Positions of all 42 atoms, in Å:
C  -1.56  -0.93  -3.46
O  -1.00  0.24  -2.89
H  -1.17  -1.11  -4.46
H  -1.37  -1.82  -2.85
H  -2.64  -0.82  -3.52
H  -0.14  -0.02  -2.55
C  -0.15  -3.62  -0.77
O  0.11  -4.76  -1.60
H  -1.14  -3.23  -1.02
H  -0.17  -3.86  0.29
H  0.62  -2.88  -0.95
H  0.23  -5.54  -1.05
C  -0.79  -0.05  4.35
O  -0.33  1.24  4.72
H  0.03  -0.77  4.36
H  -1.55  -0.41  5.06
H  -1.30  -0.03  3.38
H  -0.82  1.89  4.20
C  2.09  -1.88  -3.46
O  2.02  -0.50  -3.08
H  1.14  -2.18  -3.90
H  2.88  -2.08  -4.18
H  2.23  -2.54  -2.59
H  2.92  -0.23  -2.86
C  -2.92  2.93  -0.11
O  -2.58  3.86  0.93
H  -3.65  2.20  0.23
H  -3.26  3.46  -1.00
H  -1.99  2.42  -0.35
H  -3.29  4.51  0.99
C  0.37  0.05  0.50
O  1.54  -0.64  0.14
H  0.38  0.18  1.58
H  0.28  1.03  0.02
H  -0.50  -0.57  0.25
H  1.77  -0.49  -0.78
C  1.95  2.81  2.92
O  2.98  3.35  2.08
H  2.18  2.95  3.97
H  1.03  3.31  2.63
H  1.80  1.74  2.70
H  3.74  2.76  2.13

[2]
Computed, not measured: a molecular structure, C4H10O, with ωB97M-V/def2-TZVPD.

Calculated values
* orbital gap: 7.6 eV
* HOMO: -6.9 eV
* E: -6352.719 eV
* energy above the lowest of the compared OMol25 structures with the same formula, charge and spin: 117.2 kcal/mol

Positions of all 15 atoms, in Å:
C  1.97  -0.11  0.02
C  0.86  -0.09  -0.99
C  -0.31  0.68  -0.76
C  -1.72  -0.68  0.30
O  -0.30  1.63  0.19
H  1.57  -0.13  1.05
H  2.63  0.76  -0.06
H  2.59  -1.01  -0.10
H  1.03  -0.42  -2.01
H  -0.26  -0.67  -0.44
H  -1.03  0.75  -1.57
H  -1.94  -1.68  -0.10
H  -1.47  -0.77  1.37
H  -2.63  -0.08  0.20
H  -1.22  1.83  0.42

[3]
Computed, not measured: a molecular structure, C18H28BF5N3O21Tl at a distorted geometry, with ωB97M-V/def2-TZVPD.

Calculated values
* orbital gap: 2.6 eV
* HOMO: -15.7 eV
* E: -85512.932 eV
* charge: +2
* energy above the lowest of the compared OMol25 structures with the same formula, charge and spin: 0.0 kcal/mol

Positions of all 77 atoms, in Å:
Tl  3.19  -0.58  -2.44
B  0.76  -0.74  -0.58
H  1.40  0.23  -0.37
H  0.43  -0.65  -1.73
H  1.40  -1.75  -0.53
H  -0.09  -0.86  0.22
C  -4.67  3.08  0.19
C  -4.08  3.74  1.43
O  -2.74  3.26  1.36
C  -2.76  2.04  0.74
O  -1.83  1.30  0.63
O  -3.99  1.83  0.29
F  -4.62  3.27  2.58
H  -4.38  3.64  -0.70
H  -5.75  3.07  0.22
H  -4.13  4.83  1.47
C  -2.00  -2.20  2.11
C  -0.70  -1.79  2.75
O  -0.09  -3.06  2.91
C  -1.04  -4.02  2.81
O  -0.81  -5.19  2.80
O  -2.26  -3.46  2.71
F  -0.84  -1.29  3.99
H  -1.97  -2.22  1.02
H  -2.78  -1.47  2.35
H  -0.13  -1.11  2.12
C  1.26  2.68  1.44
C  0.71  3.03  2.82
O  1.61  3.96  3.34
C  2.45  4.43  2.34
O  3.28  5.24  2.49
O  2.03  3.88  1.17
F  0.75  1.87  3.54
H  0.63  2.45  0.59
H  2.11  2.00  1.59
H  -0.31  3.42  2.84
C  -2.54  -1.30  -2.00
C  -2.94  0.09  -2.54
O  -4.22  -0.13  -3.07
C  -4.41  -1.45  -3.28
O  -5.39  -1.96  -3.68
O  -3.36  -2.15  -2.73
F  -2.07  0.55  -3.46
H  -2.69  -1.37  -0.92
H  -1.46  -1.38  -2.24
H  -2.99  0.80  -1.72
C  -0.47  4.39  -1.30
C  0.58  4.93  -2.24
O  1.44  3.81  -2.35
C  0.70  2.70  -2.20
O  1.11  1.59  -2.42
O  -0.47  2.99  -1.62
F  1.26  5.94  -1.68
H  -1.45  4.86  -1.25
H  -0.08  4.48  -0.28
H  0.25  5.20  -3.25
C  1.81  -4.60  0.83
N  3.17  -4.38  0.28
O  3.98  -5.26  0.35
O  3.35  -3.38  -0.42
H  1.81  -4.28  1.87
H  1.46  -5.62  0.67
H  1.14  -3.90  0.33
C  5.75  0.06  1.62
N  4.28  -0.27  1.57
O  3.61  0.00  2.53
O  3.82  -0.70  0.51
H  5.93  0.50  2.59
H  5.94  0.72  0.78
H  6.28  -0.86  1.39
C  1.01  -5.42  -3.12
N  0.94  -3.96  -2.91
O  1.98  -3.33  -2.90
O  -0.16  -3.43  -2.83
H  1.98  -5.77  -2.77
H  0.80  -5.65  -4.16
H  0.26  -5.91  -2.51

[4]